

CDMA2000 Network Reconstruction and Optimization

【作者】 李银平

【导师】 袁超伟;

**Attached: data records**
........
Record 1
This entry pairs a crystal structure of CePm4Ni5 with its simulated PXRD pattern. Radiation: Cu Kα (λ = 1.5418 Å). Structure: a cell relaxed with PBE.
No peak broadening, texture or thermal motion is included.

Most intense lines, 5 to 70 degrees two-theta, in order of rising 2θ:
| 2θ/deg | Rel. int. | h k l |
| --- | --- | --- |
| 25.75 | 19 | 0 0 5 |
| 36.74 | 100 | 1 1 0 |
| 45.41 | 6 | 1 1 5 |
| 52.82 | 5 | 0 0 10 |
| 53.00 | 12 | 2 0 0 |
| 59.82 | 5 | 2 0 5 |
| 66.09 | 11 | 1 1 10 |
| 66.21 | 23 | 2 1 5 |

```
data_CePm4Ni5
_cell_length_a 3.4558
_cell_length_b 3.4558
_cell_length_c 17.3325
_cell_angle_alpha 90.00
_cell_angle_beta 90.00
_cell_angle_gamma 90.00
_space_group_name_H-M_alt 'P 4/m m m'
_space_group_IT_number 123
_space_group_name_Hall '-P 4 2'
loop_
_atom_site_label
_atom_site_type_symbol
_atom_site_fract_x
_atom_site_fract_y
_atom_site_fract_z
Ce1 Ce 0.0000 0.0000 0.0000
Pm1 Pm 0.0000 0.0000 0.1979
Pm2 Pm 0.0000 0.0000 0.3990
Ni1 Ni 0.5000 0.5000 0.0861
Ni2 Ni 0.5000 0.5000 0.2998
Ni3 Ni 0.5000 0.5000 0.5000
```

=====

Record 2
This entry pairs a crystal structure of CePrNi17 with its simulated PXRD pattern. Radiation: Cu Kα (λ = 1.5418 Å). Structure: a cell relaxed with PBE.
No peak broadening, texture or thermal motion is included.

Most intense lines, 5 to 70 degrees two-theta, in order of rising 2θ:
| 2θ/deg | Rel. int. | h k l |
| --- | --- | --- |
| 30.80 | 30 | 1 1 3 |
| 37.34 | 40 | 3 0 0 |
| 38.78 | 28 | 0 2 4 |
| 43.38 | 64 | 2 2 0 |
| 43.75 | 100 | 3 0 3 |
| 44.84 | 34 | 0 0 6 |
| 45.02 | 17 | 2 0 5 |
| 49.15 | 30 | 2 2 3 |

```
data_CePrNi17
_cell_length_a 8.3430
_cell_length_b 8.3430
_cell_length_c 12.1270
_cell_angle_alpha 90.00
_cell_angle_beta 90.00
_cell_angle_gamma 120.00
_space_group_name_H-M_alt 'R 3 m'
_space_group_IT_number 160
_space_group_name_Hall 'R 3 -2"'
loop_
_atom_site_label
_atom_site_type_symbol
_atom_site_fract_x
_atom_site_fract_y
_atom_site_fract_z
Ce1 Ce 0.0000 0.0000 0.0000
Pr1 Pr 0.0000 0.0000 0.3216
Ni1 Ni 0.0000 0.0000 0.5650
Ni2 Ni 0.0000 0.0000 0.7629
Ni3 Ni 0.0008 0.5004 0.8160
Ni4 Ni 0.0011 0.5006 0.1615
Ni5 Ni 0.0017 0.2922 0.6618
Ni6 Ni 0.0041 0.5020 0.5072
```

=====

Record 3
This entry pairs a crystal structure of CeNiPt4 with its simulated PXRD pattern. Radiation: Cu Kα (λ = 1.5418 Å). Structure: a cell relaxed with PBE.
No peak broadening, texture or thermal motion is included.

Most intense lines, 5 to 70 degrees two-theta, in order of rising 2θ:
| 2θ/deg | Rel. int. | h k l |
| --- | --- | --- |
| 13.20 | 17 | 0 0 1 |
| 35.14 | 100 | 2 1 1 |
| 36.61 | 22 | 1 1 2 |
| 40.34 | 30 | 0 0 3 |
| 42.40 | 81 | 2 1 2 |
| 44.02 | 37 | 0 2 0 |
| 48.89 | 17 | 4 0 0 |
| 61.23 | 18 | 0 2 3 |

```
data_CeNiPt4
_cell_length_a 7.4511
_cell_length_b 4.1141
_cell_length_c 6.7080
_cell_angle_alpha 90.00
_cell_angle_beta 90.00
_cell_angle_gamma 90.00
_space_group_name_H-M_alt 'P m m a'
_space_group_IT_number 51
_space_group_name_Hall '-P 2a 2a'
loop_
_atom_site_label
........

【作者基本信息】 北京邮电大学 , 电子与通信工程, 2010, 硕士

Between two parts of the text: records of crystals:
........
No. 1
Structure and theoretical powder X-ray diffraction pattern of Y4Tm5Pb2 (DFT lattice parameters and positions (GGA-PBE); copper Kα).

Largest 6 diffraction maxima, by intensity, 10 to 90 degrees two-theta:
- 34.2°, I = 100, (1 1 0)
- 31.9°, I = 100, (1 0 13)
- 59.8°, I = 33, (2 1 13)
- 47.5°, I = 33, (0 2 13)
- 61.2°, I = 19, (3 0 0)
- 33.5°, I = 16, (0 1 14)

Crystal structure
Cell lengths 5.2473, 5.2473, 46.3020 Å; angles 90.00, 90.00, 120.00 degrees
Space group R-3m (No. 166, hexagonal axes)
Symmetry-distinct sites (fractional):
Y (0.0000, 0.0000, 0.0715)
Y (0.0000, 0.0000, 0.2254)
Tm (0.0000, 0.0000, 0.0000)
Tm (0.0000, 0.0000, 0.1478)
Tm (0.0000, 0.0000, 0.3035)
Pb (0.0000, 0.0000, 0.3786)

No. 2
Structure and theoretical powder X-ray diffraction pattern of SrDy5Tl3 (DFT lattice parameters and positions (GGA-PBE); copper Kα).

Largest 6 diffraction maxima, by intensity, 10 to 90 degrees two-theta:
- 32.9°, I = 100, (3 0 0)
- 32.2°, I = 86, (1 1 2)
- 58.3°, I = 32, (4 1 2)
- 46.7°, I = 31, (2 2 2)
- 64.0°, I = 30, (3 0 4)
- 42.3°, I = 20, (3 0 2)

Crystal structure
Cell lengths 9.4383, 9.4383, 6.8882 Å; angles 90.00, 90.00, 120.00 degrees
Space group P6_3/mcm (No. 193)
Symmetry-distinct sites (fractional):
Sr (0.0000, 0.0000, 0.0000)
Dy (0.0000, 0.3407, 0.2500)
Dy (0.3333, 0.6667, 0.0000)
Tl (0.0000, 0.3320, 0.7500)

What did the second record say?
Structure and theoretical powder X-ray diffraction pattern of SrDy5Tl3 (DFT lattice parameters and positions (GGA-PBE); copper Kα).

Largest 6 diffraction maxima, by intensity, 10 to 90 degrees two-theta:
- 32.9°, I = 100, (3 0 0)
- 32.2°, I = 86, (1 1 2)
- 58.3°, I = 32, (4 1 2)
- 46.7°, I = 31, (2 2 2)
- 64.0°, I = 30, (3 0 4)
- 42.3°, I = 20, (3 0 2)

Crystal structure
Cell lengths 9.4383, 9.4383, 6.8882 Å; angles 90.00, 90.00, 120.00 degrees
Space group P6_3/mcm (No. 193)
Symmetry-distinct sites (fractional):
Sr (0.0000, 0.0000, 0.0000)
Dy (0.0000, 0.3407, 0.2500)
Dy (0.3333, 0.6667, 0.0000)
Tl (0.0000, 0.3320, 0.7500)

----------

Record 1
This entry pairs a crystal structure of CsAc6Se8 with its computed XRD peak list. Radiation: Cu Kα, 1.54184 Å. Structure: a cell relaxed with GGA-PBE.
Kinematic intensities with the Lorentz-polarization factor, no thermal factor.

Cell and atoms:
```
data_CsAc6Se8
_symmetry_space_group_name_H-M 'P -3'
_symmetry_Int_Tables_number 147
_cell_length_a 12.0670
_cell_length_b 12.0670
_cell_length_c 4.5818
_cell_angle_alpha 90.00
_cell_angle_beta 90.00
_cell_angle_gamma 120.00
loop_
_symmetry_equiv_pos_as_xyz
'x,y,z'
'-x,-y,-z'
'-y,x-y,z'
'y,-x+y,-z'
'-x+y,-x,z'
'x-y,x,-z'
loop_
_atom_site_label
_atom_site_fract_x
_atom_site_fract_y
_atom_site_fract_z
Cs1 0.0000 0.0000 0.0000
Ac1 0.1405 0.4768 0.2525
Se1 0.0434 0.6824 0.2465
Se2 0.3333 0.6667 0.7528
```

Peak list (6 most intense, 5° ≤ 2θ ≤ 70°, in order of rising 2θ)
(1 0 0), 8.46°, I 79; (0 1 1), 21.17°, I 63; (1 2 0), 22.51°, I 76; (2 1 1), 29.87°, I 100; (3 1 0), 30.85°, I 37; (4 -2 1), 35.63°, I 89
........

【摘要】 中国电信作为传统的固网运营商,正受到移动业务的巨大冲击。移动通信业务替代传统固定通信业务已经成为不可逆转的趋势,近几年,固定电话用户增长非常少,部分省份甚至出现负增长,而移动用户第一季度仍以数百万的速度在增长。进入移动通信领域,实现全业务经营一直是中国电信重要的战略转型方向。2008年5月集团公司召开了全国的电视电话会议,传达了中组部、国资委的相关领导调整的决定,通报了工业和信息化部、国家发改委和财政部关于深化电信体制改革的通告,并就改革重组和收购等工作进行了部署,正式启动收购中国联通CDMA移动网络的准备工作,标志了中国电信跨出了向全业务运营目标具有历史里程碑的一步。目前中国电信正在积极做好接收中国联通CDMA移动网络的各项准备工作,电信各个部门都在为即将运营移动业务做好各项工作准备。为了推出中国电信自有品牌的服务和业务,2009年3月在全国范围内全面推出中国电信自有品牌的服务和业务,中国电信需要提前考虑新网元新功能在电信侧的部署。石家庄电信CDMA网络无线网一期工程正是在这个背景下启动,一期无线网络建设以收购的联通现有网络作为基础,以满足中国电信的市场前端的发展需求为目标,同时要求保持网络的稳定性。根据市场前端的反馈,中国电信到2009年底移动用户数将新增3600多万,而现有的核心网容量远远不能满足用户发展需求,且原联通三星基站存在设备老化、耗电量高等问题,无线网络优化势在必行。根据石家庄本地网的现状及发展趋势,本文提出了石家庄本地网CDMA2000网络的改造与优化方案。本文以优化石家庄CDMA移动网,满足业务发展为目标,重点研究了核心网各项指标和性能,新建石家庄本地核心网从而实现各业务入网,替换旧基站,优化无线网各项性能,主要研究工作可概括如下:1.分析现网数据,对各项方案进行可研论证,提出了石家庄CDMA2000本地网核心网的设计方案;2.完成了石家庄电信综合关口局GW2入网工程之网通业务割接、之移动业务割接、之铁通业务割接;3.原基站设备老化,性能下降,我们提出了新建基站替换原三星旧基站,以满足新业务和用户数发展需要;实际运行表明我们提出的方案合理可行,达到了设计要求。本次优化涉及如此大规模的用户进行跨经营主体、跨电信网络的迁移,在中国电信业的发展历史上尚无先例。通过本次项目的实施,既能保证CDMA网络和业务的平稳过渡,又能满足市场发展需要,获得移动用户的满意,为下一步市场拓展打下坚实基础。

【Abstract】 China telecom as a traditional fixed network operators and suffers from mobile business huge impact. Mobile telecommunication to replace the traditional stationary communication business has become an irreversible trend, in recent years, fixed telephone users growth is very little, some provinces appear even negative growth, and the mobile user first quarter still to millions of speed in growth.Enter the mobile telecommunication field, carry out the business has been China telecom important strategic transformation direction. May 2008 group company has held a national teleconference, communicate the CCCCP and the adjustment of related leaders sasac decided, report it to the ministry of industry and information, the national development and reform commission and ministry of finance about deepening telecom system reform, and announcements of the reform, reorganization and acquisitions makes a deployment, formally initiated purchase China unicom CDMA mobile network preparations, marks the China telecom stepped out of business operation objectives to the historic landmark step. At present China telecom is actively prepared to accept China unicom CDMA mobile network the preparatory work, telecom departments have been going to mobile business operation to complete each work preparation. In order to launch China telecom brand service and business, March 2009 in nationwide comprehensive launched China telecom brand service and business, China telecom need to think ahead one yuan new features in telecom lateral deployment. Shijiazhuang telecommunication CDMA network core network phase of the project is under this background startup, issue the core network construction by acquisitions unicom existing network as a basis, to satisfy China telecom market demand for the development of the front-end targets, and demanded to keep network stability. According to the market’s front-end feedback, China telecom by the end of 2009 mobile subscribers will add more than 3,600 million, while the existing core network capacity cant satisfy user development needs, core network construction is imperative.According to shijiazhuang telecommunications companies mobile business development trend of judgement, expect that 2009 shijiazhuang mobile users will add 100 million. According to shijiazhuang between local networks, the status quo and developing trend of shijiazhuang between local networks, this paper puts forward the network optimization scheme, solved nearly thousand of the base GeJie encountered problems; Given the core network of shijiazhuang CDMA between local networks, the design of completed shijiazhuang telecom bureau GW2 net engineering comprehensive pass the business of mobile GeJie, China netcom, tietong business business GeJie GeJie; The actual operation shows that we proposed scheme is rational and feasible, and meet the design requirements. This optimization involved so large-scale users across operating subject, cross telecommunications network migration in China, the development of the telecommunications industry history no precedent. Through this project implementation, which can ensure CDMA network and service of smooth transition, and can meet the market development needs, obtain mobile users’ satisfaction, for the next step market development so as to lay a solid foundation.

The entry is interrupted by crystal structures:
____________
For CaVF4, a structure optimized by DFT (PBE+U) gives the theoretical X-ray diffraction stick pattern in this record (Cu Kα).
No peak broadening, texture or thermal motion is included.

Peak list (10 most intense, 10° ≤ 2θ ≤ 80°, sorted by position)
(hkl)	d_spacing	I (rel.)
2 2 0	3.548	100
0 2 2	2.895	21
2 0 2	2.799	24
2 2 2	2.475	32
2 4 2	1.925	36
4 2 2	1.841	35
4 4 0	1.774	21
0 0 4	1.728	14
0 6 2	1.574	18
2 2 4	1.553	14

Crystal structure
Cell: 9.5453 10.6099 6.9104 Å, 90.00 90.00 90.00°
Space group Fdd2 (No. 43)
One atom of each set of equivalent atoms:
Ca  0.0000  0.0000  0.0000 (multiplicity 8)
V  0.0000  0.0000  0.4980 (multiplicity 8)
F  0.0994  0.0982  0.7363 (multiplicity 16)
F  0.1025  0.0883  0.2632 (multiplicity 16)

~~~~~

No. 1
Starting from the PBE+U geometry in the Materials Project, the X-ray powder pattern of Li2Ni3P4O14 was simulated for Cu Kα.

Atomic structure:
```
46
Lattice="7.2850 0.0000 0.0000 0.0000 7.8750 0.0000 -3.2492 0.0000 8.8656" Properties=species:S:1:pos:R:3 pbc="T T T"
Li 1.0704 0.6594 1.2040
Li -0.5542 3.2781 5.6368
Li 4.5901 4.5969 3.2288
Li 2.9655 7.2156 7.6616
Ni 0.7084 0.9891 4.2627
Ni -0.9162 2.9484 8.6956
Ni 3.6425 0.0000 0.0000
Ni 2.0179 3.9375 4.4328
Ni 4.9520 4.9266 0.1701
Ni 3.3274 6.8859 4.6029
P -1.6309 0.3872 6.3552
P -0.0063 3.5503 1.9224
P 2.1644 5.5570 1.7175
P 0.5398 6.2555 6.1503
P 3.4961 1.6195 2.7153
P 1.8715 2.3180 7.1481
P 4.0422 4.3247 6.9432
P 5.6668 7.4878 2.5104
O -1.7597 3.9853 7.0917
O -0.1351 7.8272 2.6589
O -1.0557 1.3256 5.2940
O 0.5689 2.6119 0.8612
O 0.6696 5.0115 1.6974
O -0.9550 6.8011 6.1302
O -1.2413 0.8685 7.7815
O 0.3833 3.0690 3.3487
O 0.5355 4.9004 5.4788
O 2.1601 6.9121 1.0460
O 3.0484 4.5558 0.9517
O 1.4238 7.2567 5.3845
O 3.1103 1.6159 1.2155
O 1.4857 2.3216 5.6483
O 2.5501 5.5534 3.2173
O 0.9255 6.2591 7.6501
O 2.6120 0.6183 3.4811
O 0.9874 3.3192 7.9140
O 1.8758 0.9629 7.8196
O 3.5004 2.9746 3.3868
O 3.6526 4.8060 5.5170
O 5.2772 7.0065 1.0841
O 4.9909 1.0739 2.7354
O 3.3663 2.8636 7.1682
O 3.4669 5.2631 8.0044
O 5.0915 6.5494 3.5716
O 4.1710 0.0478 6.2067
O 5.7956 3.8897 1.7739
```

Peak list (10 most intense, 10 to 80 degrees two-theta, sorted by position)
- d = 6.840 Å, I 100.0
- d = 5.888 Å, I 26.2
- d = 5.072 Å, I 53.8
- d = 3.245 Å, I 48.9
- d = 3.055 Å, I 49.6
- d = 3.016 Å, I 62.8
- d = 3.000 Å, I 56.6
- d = 2.961 Å, I 71.5
- d = 2.701 Å, I 25.1
- d = 2.451 Å, I 34.2

=====

No. 2
Starting from the PBE+U geometry in the Materials Project, the X-ray powder pattern of Li9Mn2Co5O16 was simulated for Cu Kα.

Atomic structure:
```
32
Lattice="5.8849 0.0000 0.0000 0.0000 2.8755 0.0000 -0.0448 0.0000 17.1127" Properties=species:S:1:pos:R:3 pbc="T T T"
Li 0.0000 0.0000 0.0000
Li -0.0142 0.0000 8.6925
Li 1.4702 1.4378 10.6387
Li 1.5021 1.4378 2.2492
Li 2.9582 0.0000 4.3717
Li 2.9721 0.0000 12.7013
Li 4.3870 1.4378 6.4942
Li 4.4070 1.4378 10.7083
Li 4.4127 1.4378 14.8642
Mn 1.4377 1.4378 14.9346
Mn 4.4268 1.4378 2.1717
Co 0.0077 0.0000 4.4041
Co 1.5440 1.4378 6.4735
____________

  • 【分类号】TN929.533
  • 【下载频次】45

